=====
[1]
A relaxed structure of NaPt2, computed with PBE-GGA.

abc: 7.590 7.590 7.590
angles: 90.00 90.00 90.00
Space group Fd-3m (No. 227, origin choice 2)
One atom of each set of equivalent atoms:
Na1 0.125 0.125 0.125
Pt1 0.000 0.000 0.500

Calculated values
**Energy relative to the elements**: -1.097 eV per formula unit
**E_tot**: -4.85 eV per atom

---

[2]
A relaxed structure of Th2Si3Pt, computed with PBE-GGA.

abc: 4.205 4.241 14.141
angles: 90.00 90.00 90.00
Space group Imm2 (No. 44)
One atom of each set of equivalent atoms:
Th1 0.000 0.000 0.000
Th2 0.000 0.500 0.245
Si1 0.000 0.000 0.580
Si2 0.000 0.500 0.660
Si3 0.000 0.500 0.829
Pt1 0.000 0.000 0.412

Calculated values
**Energy relative to the elements**: -5.891 eV per formula unit
**E_tot**: -7.18 eV per atom

---

[3]
A relaxed structure of Sn2P2O9, computed with PBE-GGA.

abc: 14.451 6.593 8.003
angles: 90.00 90.00 90.00
Space group Pnma (No. 62)
One atom of each set of equivalent atoms:
Sn1 0.000 0.000 0.000
Sn2 0.126 0.250 0.357
P1 0.063 0.750 0.356
P2 0.189 0.750 0.894
O1 0.014 0.250 0.515
O2 0.015 0.750 0.172
O3 0.049 0.250 0.137
O4 0.123 0.561 0.361
O5 0.127 0.555 0.905
O6 0.234 0.250 0.531
O7 0.246 0.750 0.729

Calculated values
**Energy relative to the elements**: -30.826 eV per formula unit
**E_tot**: -6.77 eV per atom
**Total magnetic moment**: 0.0 μB/cell

---

[4]
A relaxed structure of HoSiIr, computed with PBE-GGA.

abc: 6.839 4.231 7.436
angles: 90.00 90.00 90.00
Space group Pnma (No. 62)
One atom of each set of equivalent atoms:
Ho1 0.001 0.250 0.188
Si1 0.202 0.750 0.391
Ir1 0.158 0.250 0.568

Calculated values
**Energy relative to the elements**: -3.239 eV per formula unit
**E_tot**: -7.36 eV per atom

---

[5]
A relaxed structure of Tm2TlCd, computed with PBE-GGA.

abc: 7.455 7.455 7.455
angles: 90.00 90.00 90.00
Space group Fm-3m (No. 225)
One atom of each set of equivalent atoms:
Tm1 0.250 0.250 0.250
Tl1 0.000 0.000 0.000
Cd1 0.000 0.000 0.500

Calculated values
**Energy relative to the elements**: -1.224 eV per formula unit
**E_tot**: -3.37 eV per atom

---

[6]
A relaxed structure of LiSi, computed with PBE-GGA.

abc: 6.221 6.221 6.221
angles: 90.00 90.00 90.00
Space group Fd-3m (No. 227, origin choice 2)
One atom of each set of equivalent atoms:
Li1 0.125 0.125 0.125
Si1 0.125 0.125 0.625

Calculated values
**Energy relative to the elements**: 0.243 eV per formula unit
**E_tot**: -3.58 eV per atom
**Total magnetic moment**: 0.0 μB/cell

* * * * *

Below is a relaxed ErMnGa crystal, with properties calculated at the GGA-PBE level.

Summary:
- formation enthalpy at 0 K (eV/atom) = -0.28
- final energy (eV per atom) = -5.870
- SG = Ima2 (46)

Lattice parameters (Å, degrees): 8.133 8.133 8.133 121.01 82.32 128.21
Element x y z (fractional)
Er1 0.000 0.250 0.250
Er2 0.000 0.750 0.750
Er3 0.171 0.630 0.041
Er4 0.177 0.133 0.544
Er5 0.589 0.130 0.959
Er6 0.589 0.633 0.456
Mn1 0.353 0.353 0.000
Mn2 0.353 0.853 0.500
Mn3 0.584 0.204 0.383
Mn4 0.584 0.701 0.880
Mn5 0.821 0.201 0.617
Mn6 0.821 0.704 0.120
Ga1 0.253 0.088 0.166
Ga2 0.253 0.587 0.665
Ga3 0.584 0.836 0.248
Ga4 0.589 0.336 0.752
Ga5 0.922 0.087 0.834
Ga6 0.922 0.588 0.335

---

Below is a relaxed TiSi2 crystal, with properties calculated at the GGA-PBE level.

Summary:
- formation enthalpy at 0 K (eV/atom) = -0.33
- final energy (eV per atom) = -6.630
- SG = Immm (71)

Lattice parameters (Å, degrees): 4.779 4.779 4.779 144.10 138.02 56.40
Element x y z (fractional)
Ti1 0.000 0.000 0.000
Si1 0.330 0.330 0.000
Si2 0.670 0.670 0.000

---

Below is a relaxed TlSb5S8 crystal, with properties calculated at the GGA-PBE level.

Summary:
- formation enthalpy at 0 K (eV/atom) = -0.56
- final energy (eV per atom) = -4.277
- SG = Pc (7)

Lattice parameters (Å, degrees): 8.564 19.676 12.531 90.00 132.86 90.00
Element x y z (fractional)
Tl1 0.000 0.049 0.000
Tl2 0.000 0.951 0.500
Tl3 0.928 0.448 0.729
Tl4 0.928 0.552 0.229
Sb1 0.196 0.236 0.986
Sb2 0.196 0.764 0.486
Sb3 0.206 0.271 0.294
=====

Copy only the lines further up with the word "Si3" in them.

Si3 0.000 0.500 0.829